What is the difference between doing Yoga and being a Yogi ?
When I embarked on my journey to become a yoga teacher I thought I knew how much more than a physical practice yoga really was. As I moved through my initial 200 hour training and on to my 500 hour advanced training, I saw a shift. I understood that the initial training would take between 6 to 8 months to complete. My initial thought was, “I will do it in 5!” It was only after completing these first 200 hours (in 6 months I might add) that I realized that the process of becoming a yogi is just that… a process. It is a “becoming” not a doing. As I moved into my 500 hour portion of my training I slowed down. This slowing down was the balancing practice for my disposition. I had experienced my first big insight.
My yogi often said, “Yoga is hard; but it’s not always hard where you expect it to be.” This slowing down was, and still is the hardest part of my yoga practice.
Seven signs you are a yogi.
== Next to the piece, the page also holds molecular data ==
-- begin --
{"formula": "C36H36N3O", "method": "the ωB97M-V functional and the def2-TZVPD basis", "charge": 1, "total_energy_ha": -1632.6795, "orbital_gap_ev": 6.27, "spin_multiplicity": 1, "species": ["C", "N", "C", "C", "C", "C", "C", "N", "C", "C", "C", "C", "C", "C", "C", "C", "C", "C", "C", "C", "C", "H", "H", "H", "H", "H", "H", "H", "H", "H", "H", "H", "H", "H", "H", "H", "H", "H", "O", "C", "C", "C", "C", "C", "C", "C", "C", "C", "C", "C", "C", "C", "C", "C", "C", "C", "N", "H", "H", "H", "H", "H", "H", "H", "H", "H", "H", "H", "H", "H", "H", "H", "H", "H", "H", "H"], "coordinates": [[5.036, -1.236, -1.249], [3.668, -1.669, -1.026], [2.561, -0.888, -1.107], [1.426, -1.633, -0.727], [0.069, -1.207, -0.639], [-0.930, -2.102, -1.033], [-0.817, -3.310, -1.767], [-1.986, -4.002, -1.687], [-2.213, -5.352, -2.164], [-2.936, -3.247, -0.986], [-2.317, -2.041, -0.582], [-2.965, -1.184, 0.299], [-4.263, -1.526, 0.719], [-4.869, -2.721, 0.297], [-4.191, -3.620, -0.544], [1.919, -2.964, -0.365], [3.314, -2.950, -0.603], [4.157, -4.017, -0.346], [3.562, -5.170, 0.183], [2.186, -5.213, 0.457], [1.363, -4.101, 0.215], [5.702, -2.051, -0.954], [5.199, -1.009, -2.310], [5.258, -0.348, -0.644], [2.621, 0.149, -1.431], [-0.197, -0.442, 0.093], [0.065, -3.728, -2.251], [-3.250, -5.610, -1.941], [-2.034, -5.400, -3.246], [-1.541, -6.073, -1.674], [-2.442, -0.291, 0.651], [-4.804, -0.855, 1.387], [-5.881, -2.961, 0.622], [-4.611, -4.570, -0.871], [5.224, -3.932, -0.563], [4.181, -6.036, 0.392], [1.746, -6.124, 0.870], [0.308, -4.128, 0.478], [-1.424, 2.103, 1.762], [-0.453, 2.788, 0.983], [-0.602, 4.247, 1.471], [-0.809, 4.409, 2.840], [-0.935, 5.688, 3.394], [-0.841, 6.819, 2.579], [-0.636, 6.662, 1.206], [-0.529, 5.379, 0.646], [0.942, 2.231, 1.260], [1.082, 0.930, 1.734], [2.358, 0.382, 1.865], [3.486, 1.159, 1.596], [3.337, 2.483, 1.179], [2.063, 3.028, 1.013], [-0.752, 2.573, -0.509], [-2.158, 3.055, -0.858], [-2.694, 2.085, -1.904], [-1.618, 1.019, -2.093], [-0.686, 1.164, -0.952], [-1.640, 1.246, 1.351], [-0.885, 3.531, 3.486], [-1.105, 5.788, 4.467], [-0.922, 7.818, 3.008], [-0.556, 7.533, 0.553], [-0.382, 5.255, -0.431], [0.198, 0.340, 1.999], [2.447, -0.665, 2.158], [4.478, 0.725, 1.714], [4.210, 3.098, 0.968], [1.919, 4.057, 0.676], [0.006, 3.145, -1.077], [-2.775, 3.052, 0.044], [-2.082, 4.084, -1.210], [-3.640, 1.645, -1.581], [-2.862, 2.593, -2.852], [-2.029, 0.008, -2.116], [-1.089, 1.167, -3.053], [0.259, 0.939, -1.267]], "atomic_forces_ev_per_a": [[0.1324, 0.1744, -0.2264], [-0.4236, 0.0073, -0.1085], [-0.6058, -0.7464, 0.7493], [1.5759, 0.4948, -0.7258], [-0.5215, -2.9556, 1.3197], [-0.1382, 1.0819, 0.1811], [-1.0720, -0.8919, 0.2621], [1.7914, 1.1406, -0.2947], [0.0961, -0.4282, -0.3725], [0.3354, 0.7289, 0.8094], [-0.1106, -0.7402, 0.3341], [-0.5813, -0.2030, 0.0409], [0.4359, 0.1353, -0.2595], [0.2666, -0.1923, -0.3480], [-0.3790, 0.2774, 0.0089], [0.4983, 0.2503, -0.5108], [-0.2463, 0.8471, 0.2064], [-0.2265, -0.7143, 0.2649], [0.3723, 0.4848, -0.3465], [-0.4618, 0.5120, -0.0063], [0.2838, -0.8250, 0.1256], [-0.0689, 0.3498, -0.0868], [0.0201, -0.0461, 0.2531], [-0.0662, -0.2597, -0.1629], [0.0500, -0.2821, 0.1231], [0.0774, -0.2352, -0.8678], [-0.3738, 0.1066, 0.0567], [0.3221, -0.1041, -0.2070], [-0.1785, -0.0091, 0.2630], [-0.2588, 0.3577, -0.0370], [-0.4155, -0.3125, -0.1279], [0.1448, -0.2329, -0.1727], [0.3244, 0.0582, -0.0204], [-0.1854, 0.3265, 0.3065], [-0.3800, -0.3349, 0.2172], [-0.1130, 0.0832, -0.0299], [0.1947, 0.3749, -0.0786], [0.1350, -0.0954, -0.0464], [-0.4277, -0.9562, -0.1102], [-0.0515, -0.0215, 0.3123], [0.1616, -0.0521, -0.3970], [-0.0293, 0.5328, 0.4047], [0.0768, -0.2202, -0.3018], [0.0403, -0.2121, -0.1198], [0.0146, -0.3323, -0.1467], [0.0900, -0.1053, 0.3988], [-0.2053, 0.3504, 0.3405], [0.3521, -0.0016, -0.1397], [-0.0781, 0.0315, 0.0322], [-0.1654, -0.0987, -0.0511], [-0.1447, 0.0410, -0.0675], [0.1044, -0.4749, -0.1581], [0.3715, 0.8587, -0.5419], [0.1102, 0.1787, 0.1861], [-0.2150, 0.0270, -0.2737], [0.3941, -0.0993, -0.3681], [-0.4425, 1.0611, -0.1426], [0.3366, 0.6005, 0.0669], [0.0553, 0.3313, -0.2501], [0.0581, 0.0264, -0.3078], [0.0033, -0.2761, -0.1183], [-0.0600, -0.2348, 0.2440], [0.0020, 0.1856, 0.3733], [0.3947, 0.2392, -0.0526], [0.1439, 0.2814, 0.0722], [-0.1554, 0.1284, 0.0034], [-0.0999, -0.1315, 0.1114], [0.1588, -0.3128, 0.1492], [-0.2553, 0.0257, 0.1660], [0.0573, 0.0792, -0.1523], [-0.3027, -0.1223, -0.0405], [0.0590, 0.0152, -0.0766], [-0.1907, -0.0589, 0.0021], [-0.0059, 0.1189, -0.0170], [-0.1437, 0.0215, 0.2919], [-0.2612, 0.3936, 0.1932]]}
-- stop --
You stop looking at Yoga as only a PHYSICAL practice. Yes the asana (posture) practice is about your body but Yoga is more a BRAIN and LIFE practice than anything else.
You look to change within. Your self awareness is at a place that when you are triggered you look within for the solution rather than to change something on the outside. And we are talking about transformational change in your life and how you see things (see #1 above)
Meditation becomes uncomplicated. Knowing that meditation is at the core of almost all yoga practices you regularly practice mindfulness practices throughout your day. While eating, while at a stoplight, while taking a walk.
You know when to BREATHE. You understand the importance of breath, when to breathe and how to breathe to get yourself unstuck. You will also have a greater awareness when your breathing is off.
You have compassion. This is a biggie. You not only have gratitude for people, places and things that trigger you but you have compassion for others wherever they are in their journey. You learn to see yourself in others who trigger you. These folks are my greatest teachers. Maybe an earlier version of yourself but also perhaps the current version. You are learning SELF-compassion.
You feel your feelings. You learn to lean into your feelings learning that all feelings are necessary and valuable. There is no light without dark. Without contrast the world is a very bland and boring place.
You respond rather than react. Last but certainly not least you notice that there is not an urgency to react to everything that comes your way.
There are certainly more than 7 results from a regular practice of yoga. For more information and when you are ready to get what I have, reach out to me.